Writing Everything Down

As we all know, Betsy is flailing around like a sock puppet trying to be a successful independent author / publisher. That’s not new. But now she has goals AND a production schedule. She seems to actually be interested in taking her game to the next level.

However, Skipper, a chipmunk who is a Habit Implementation Specialist sent by the Muse Council to help Betsy develop and meet her goals, has asked Betsy to come see her in her office in Betsy’s brain. Whatever can she want? Isn’t she satisfied with the progress Betsy’s making?

Let’s see….



*Betsy walks into Skipper’s office* *throws herself down on the sofa across from Skipper’s desk*

These data records were left in the page by mistake:
- - -
C58H165B3Cl2N9Ni2O22 | ωB97M-V with the def2-TZVPD basis set

Its spin multiplicity is 5. As for the HOMO-LUMO gap (spin up / spin down): 5.69 / 4.37 eV. The value obtained for the largest force on an atom is 4.68 eV/A. The total energy comes out at -8467.4267 Eh. As for the total charge: +1.

Last column: Mulliken spin population.
CARTESIAN COORDINATES (ANGSTROEM)
O (4.485982, -1.249624, -0.445578)  -0.01
H (3.988443, -0.583410, -0.925388)  -0.01
H (4.705268, -2.007714, -0.992203)  0.00
H (3.919376, -1.477508, 0.295120)  0.00
O (1.055675, -2.264549, 2.367992)  0.00
H (2.002609, -2.361445, 2.243392)  0.00
H (0.791080, -1.472142, 1.895045)  0.01
H (0.561153, -3.017236, 2.035568)  0.00
Ni (1.017748, 1.363116, -0.391081)  1.96
Ni (1.671983, 5.323980, 1.870334)  1.78
B (2.740207, 0.645254, -1.532235)  0.01
H (3.771263, 0.501633, -1.816030)  -0.01
H (2.063291, 0.042410, -2.117560)  0.01
H (2.606830, 0.312854, -0.514414)  0.00
H (2.465456, 1.687767, -1.576037)  0.02
B (3.664847, -1.873409, 2.014236)  0.02
H (4.731251, -1.709320, 2.024721)  0.00
H (3.132787, -0.993426, 1.687429)  0.00
H (3.456177, -2.664904, 1.311219)  0.00
H (3.386085, -2.167391, 3.014290)  0.00
B (0.222853, -0.089582, 0.847474)  -0.23
H (-0.365455, -0.810633, 1.393564)  -0.02
H (-0.240089, 0.880248, 0.750734)  0.07
H (1.179465, 0.077716, 1.317736)  0.03
H (0.333303, -0.470661, -0.155929)  0.07
Cl (-0.581382, 2.404060, -1.791131)  0.06
Cl (1.950900, 3.073083, 1.057931)  0.11
C (4.805521, 1.361839, 3.363722)  0.00
C (3.870514, 0.675554, 4.367067)  0.00
O (4.306234, -0.612518, 4.688194)  0.00
H (4.444055, 2.372853, 3.175858)  0.00
H (4.779616, 0.817501, 2.419730)  0.00
H (5.817209, 1.317549, 3.766991)  0.00
H (2.868707, 0.643885, 3.938729)  0.00
H (3.756905, 1.269541, 5.273920)  0.00
H (4.003990, -1.157755, 3.958155)  0.00
C (1.949861, -4.646601, 4.714946)  0.00
C (0.844491, -4.200419, 5.677159)  0.00
O (-0.191001, -3.691430, 4.865733)  0.00
H (1.676784, -5.460687, 4.043529)  0.00
H (2.800526, -4.955541, 5.322409)  0.00
H (2.260351, -3.751541, 4.175906)  0.00
H (1.298397, -3.542996, 6.418696)  0.00
H (0.472649, -5.118030, 6.133018)  0.00
H (-0.876466, -3.441365, 5.489608)  0.00
C (2.104346, -2.802985, -2.904276)  0.01
O (3.310517, -3.166504, -2.178585)  0.00
C (4.155379, -4.128189, -2.752702)  0.00
C (5.374592, -4.366481, -1.827456)  0.00
N (6.060218, -3.164670, -1.408399)  0.00
C (6.748422, -2.436185, -2.495043)  0.00
C (7.431503, -1.139065, -2.012448)  0.00
O (8.655811, -1.432703, -1.288619)  0.00
C (9.484395, -0.302656, -1.037355)  0.00
H (2.403770, -2.221359, -3.776140)  0.00
H (1.438525, -2.194975, -2.291810)  0.00
H (1.433683, -3.599176, -3.227379)  0.00
H (4.489437, -3.753435, -3.720207)  0.00
H (3.683290, -5.102567, -2.878477)  0.00
H (6.061515, -5.157083, -2.129420)  0.00
H (4.906303, -4.727320, -0.911698)  0.00
H (6.750776, -3.468029, -0.736680)  0.00
H (5.965466, -2.192018, -3.212990)  0.00
H (7.453601, -3.127043, -2.957147)  0.00
H (6.739990, -0.564142, -1.396531)  0.00
- - -


*Skipper looks up from the paperwork she’s been perusing* You’re here! Awesome! We need to talk.

*Betsy flops back on the sofa and closes her eyes*

Whhhyyyyy? I’m doing what you want me to do. I’ve got goals and a production schedule and everything.

Yes. *Skipper shoves the papers aside and hops up on her desk* *Strikes cheerleading pose* But there’s still room for improvement!

Oh, come on! *Betsy arches her back and stomps her feet against the cushion* I’m doing good!

*Skipper considers her and settles onto her haunches* No you’re not. You’re wasting time.

*Betsy settles back down* I am not. *She sounds uncertain*

Right. *Skipper looks at Betsy with her big, dark eyes* How much time have you spent on social media or email in these last few weeks? How often have you checked your KDP dashboard or your Amazon rankings? Sound familiar?

Maybe I get on the Internet a little bit. Now and then. *Betsy sits up and picks at a thread on the sofa cushion* *Mutters* I have a stupid production schedule.

*Skipper sits and folds her little paws on her little knee* Do you actually want to hit it?

*Betsy sticks out her bottom lip*  Yesssss.

Then it’s not good enough for you to just HAVE a production schedule and goals. You need to work towards them consistently. And that means you can’t waste all of your time.

*Betsy’s pout deepens* I sit down at the computer. I sit down every day. And I make time to write, too!

*Skipper cocks her head* And do you write?

*Betsy picks at the thread* *Mutters* Sometimes.

Sometimes. And sometimes you don’t do anything but surf the web. You’re making the time, but you’re also getting pulled down rabbit holes into unproductive paths.

*Betsy scowls at her* Okay, fine. Yes. I surf the web sometimes. But I’m writing, too. So, what does it matter? I’m getting things done.

It matters because you might be able to work more efficiently and maybe even hit that production schedule you’re so proud of making. But first, you have to see what you’re really doing.

*Betsy’s scowl deepens* How am I supposed to do that?

*Skipper smiles* You need to write everything down and track it.

*Betsy gapes at her* Everything? You mean EVERYTHING everything?

*Skipper nods* Everything. When do you sit down to write? How much time are you spending? How many words are you writing in that time? What are you writing? Your fiction? A blog post? Everything.

Oh, good gravy! *Betsy jumps to her feet and flails her arms* I can’t do all of that!

Yes, you can! *Skipper pumps both paws in the air*  And you need to write down that production schedule and post on your refrigerator, not squirrel, excuse the expression, it away in a notebook somewhere.

*Betsy puts her hands to her head* That’s so much!

But wait, there’s more! You also have to write out a task list to tell you the things you need to do that are not connected with the actual writing.

*Betsy’s face crumples* But whyyyyyyyy?

Because. You need to shine a light on your process and make it solid. You need to find out what’s really going on and keep it in your mind. You need to know what needs to be done and when you need to do it. That’s the only way we’ll be able to make things better.

*Betsy crosses her arms and stomps her foot* I hate you.

No, you don’t. And this is important. Writing everything down makes you aware of what you’re really doing, what you need to do, and by when. Not just what you imagine is happening. It will be a first step we can build on.

*Betsy gapes* There will be more?

Yes! Yes! *Skipper’s patience is fraying* Do you want to do this thing or don’t you?

*Betsy drops her head and scuffs her foot on the floor* *Bottom lip is protruding to a dangerous degree* *Mutters*
I want to do it. It’s just that it’s such a paaaiiiiinnn to do all of this work.

*Skipper sighs* We have to know. For example, are you writing more in the morning or the evening?

I write more in the morning.

*Skipper holds up a paw* No, you WANT to write more in the morning. But how much are you ACTUALLY writing in the morning?

*Betsy frowns* I sit at the computer in the morning.

*Skipper puts her paws to her head and tears out a little fur* Oh, for heaven’s sakes. Do me a favor and just fill in a darned spreadsheet, would you? If you want to write in the mornings, and you’re not writing in the mornings, then we need to change things up so you DO write in the mornings.

*Betsy shuffles her feet* Okaaaaay.

And don’t forget the production schedule and the task list. Track everything. Because you can’t tell what you need to change until you see it.

*Betsy pouts* And I really have to do all of this?

*Skipper shrugs* Only if you want to get better.

I want to get better.


*Betsy sighs* Okay.


To be continued…


  1. It is so easy to have great plans, but executing them is the problem. Turn off the internet (and television, and radio, etc.) when you’re supposed to be writing. All the great writers I’ve learned about sat down with their pen and paper, or typewriter, and closed themselves off to the rest of the world and allocated X amount of time to writing. Not chatting, not reading mail, not checking on other authors – just doing nothing else but writing for the allotted time. These days it’s way too easy to be sidetracked.

    • Betsy Horvath says

~~~
# 1
# C15H31AuS2Si4Te

A structure of composition C15H31AuS2Si4Te (ωB97M-V/def2-TZVPD, the OMol25 dataset).

Cartesian coordinates (Å):
Au 2.87 -0.02 0.35
S 5.39 -0.01 -0.12
C 5.97 0.00 1.54
C 7.36 0.02 1.75
C 7.95 0.02 3.00
C 7.13 0.02 4.13
C 5.76 0.01 3.96
C 5.14 0.00 2.70
S 3.37 -0.02 2.69
H 7.99 0.02 0.86
H 9.03 0.04 3.10
H 7.56 0.03 5.13
H 5.11 0.00 4.83
C -1.08 2.88 0.94
Si -1.36 1.02 1.03
C -3.17 0.74 1.52
C -0.28 0.33 2.39
Si -0.95 0.01 -1.03
Te 1.36 0.01 -1.85
Si -2.22 1.13 -2.64
C -2.23 0.14 -4.25
C -4.04 1.46 -2.23
C -1.47 2.81 -3.02
Si -1.84 -2.14 -0.88
C -1.36 -2.97 0.74
C -1.19 -3.22 -2.28
C -3.73 -2.21 -1.00
H -1.21 3.33 1.93
H -1.79 3.35 0.25
H -0.07 3.10 0.59
H -3.40 1.28 2.45
H -3.36 -0.32 1.69
H -3.85 1.09 0.74
H -0.44 0.88 3.32
H 0.78 0.39 2.12
H -0.51 -0.73 2.57
H -2.83 -0.77 -4.14
H -1.21 -0.17 -4.51
H -2.65 0.74 -5.06
H -4.58 0.54 -1.98
H -4.54 1.93 -3.09
H -4.14 2.14 -1.37
H -0.40 2.71 -3.22
H -1.58 3.49 -2.18
H -1.95 3.26 -3.90
H -0.29 -2.86 0.92
H -1.60 -4.03 0.73
H -1.89 -2.51 1.58
H -0.10 -3.19 -2.30
H -1.54 -2.85 -3.25
H -1.53 -4.25 -2.16
H -4.20 -1.61 -0.21
H -4.09 -3.24 -0.91
H -4.07 -1.81 -1.96

Properties
ΔE to the lowest compared entry with this formula, charge and spin = 0.0000 eV
net charge = -2
HOMO-LUMO gap = 4.97 eV
calculated total energy = -80230.935 eV
F_max = 0.29 eV/A
highest occupied orbital energy = -0.0173 hartree

---

# 2
# C29H46BrNOP2Pd

A structure of composition C29H46BrNOP2Pd at a distorted geometry (ωB97M-V/def2-TZVPD, the OMol25 dataset).

Cartesian coordinates (Å):
C -5.08 1.21 1.83
C -4.42 1.11 0.61
C -4.41 2.19 -0.31
C -4.87 3.41 0.17
N -5.42 3.55 1.39
C -5.51 2.48 2.19
C -3.53 0.05 0.43
C -2.77 -0.90 0.19
C -2.20 -2.09 -0.44
C -0.76 -2.29 -0.43
C -0.09 -3.17 -1.27
C -0.88 -3.78 -2.24
C -2.30 -3.88 -2.11
C -2.99 -2.98 -1.22
Pd 1.08 -0.74 -0.33
P 0.30 1.06 1.02
H -3.97 2.08 -1.30
H -5.18 0.34 2.49
H -4.84 4.29 -0.49
H -6.00 2.62 3.16
H -4.09 -2.81 -1.16
H -0.14 -1.88 0.46
H -2.89 -4.63 -2.68
H 0.99 -3.26 -1.19
C 1.97 1.72 1.49
C 2.04 3.19 1.91
H 2.61 1.56 0.60
H 2.36 1.03 2.27
H 3.09 3.38 2.15
H 1.76 3.85 1.07
H 1.43 3.41 2.80
C -0.59 2.32 0.03
C -1.14 3.50 0.86
H -1.42 1.76 -0.44
H 0.09 2.66 -0.77
H -1.42 4.30 0.16
H -2.06 3.19 1.40
H -0.40 3.90 1.58
C -0.77 0.74 2.50
C -0.66 1.71 3.70
H -0.50 -0.28 2.83
H -1.81 0.68 2.11
H -1.33 1.30 4.48
H 0.37 1.73 4.10
H -1.01 2.74 3.47
Br 0.21 -4.58 -3.68
P 1.69 -0.07 -2.34
C 2.06 1.70 -2.27
C 3.27 1.94 -3.16
H 2.26 2.05 -1.25
H 1.18 2.27 -2.62
H 3.58 2.99 -3.10
H 4.12 1.31 -2.86
H 3.04 1.68 -4.20
C 3.14 -1.14 -2.32
C 3.42 -1.75 -3.68
H 2.98 -1.93 -1.58
H 3.98 -0.54 -1.96
H 4.20 -2.51 -3.56
H 2.54 -2.23 -4.12
H 3.77 -1.00 -4.39
C 0.34 -0.35 -3.48
C 0.65 0.44 -4.75
H -0.59 0.03 -3.01
H 0.18 -1.42 -3.67
H -0.09 0.22 -5.52
H 0.64 1.52 -4.56
H 1.65 0.21 -5.13
C 1.02 -3.85 3.64
C 2.40 -3.21 3.63
C 2.23 -1.94 2.77
O 1.06 -2.08 1.95
C 0.29 -3.22 2.43
H 1.06 -4.94 3.58
H 0.48 -3.55 4.55
H 3.14 -3.87 3.17
H 2.79 -2.92 4.62
H 2.12 -1.03 3.39
H 3.07 -1.73 2.11
~~~

      @Athena: The hardest part about writing isn’t the writing itself – it’s sitting down to write. So you have to be aware of what you’re actually doing – not what you think you’re doing. LOL